File
~~~
Here is a 2-piece molecular cluster, C5H12N2O overall at a distorted geometry from OMol25. Energies are from ωB97M-V/def2-TZVPD.

Each line ends with the Mulliken charge.
Atoms and positions in Å:
H1 -2.4086 0.5070 -2.3459  0.37
N1 1.0844 0.3952 2.9742  -0.68
H2 -1.5150 -1.0588 -2.3953  0.30
C1 0.3166 -0.4432 2.0923  0.19
C2 0.8218 -0.5663 0.6816  -0.84
H3 1.8354 -0.1346 3.4105  0.23
H4 0.6982 -1.5275 0.2010  0.22
N2 0.8784 0.1198 -2.5190  -0.44
H5 -0.2954 1.7181 -1.9661  0.33
H6 0.9394 -0.8834 -2.5087  0.22
C3 -1.5051 -0.0228 -2.0938  -1.07
O1 -1.6936 -0.2418 0.6502  -0.65
C4 -0.4972 0.2481 1.0434  -0.16
H7 1.7246 -0.0275 0.4305  0.28
H8 -1.7578 -0.1344 -0.4691  0.34
H9 1.7116 0.5968 -2.2062  0.26
H10 0.5036 0.7947 3.7045  0.23
H11 -0.1577 -1.3315 2.5148  0.32
C5 -0.3238 0.6640 -2.1632  0.21
H12 -0.3601 1.3281 0.9643  0.34

Cartesian forces, eV/Å:
H -0.3 0.3 0.5
N 0.1 0.1 0.2
H 0.1 -0.3 0.1
C -0.4 0.0 0.0
C -0.9 0.5 0.4
H -0.2 0.2 -0.1
H -0.2 0.0 -0.1
N -0.1 0.4 0.5
H 0.0 0.4 -0.1
H 0.0 -0.1 -0.1
C 0.8 0.5 -1.2
O -1.1 -0.2 -2.5
C 2.0 -0.2 -0.8
H 0.0 0.1 0.1
H 0.5 -0.3 3.3
H -0.1 -0.1 0.0
H 0.1 -0.1 0.0
H 0.0 0.1 -0.1
C -0.5 -1.0 -0.3
H 0.1 -0.1 0.2

Gap between HOMO and LUMO ... 9.2203 eV
LUMO ... 0.95 eV
SMILES string ... N[C@@H]1C[C@H]1O.C=CN

----------

Entry 1:
DFT (ωB97M-V with the def2-TZVPD basis set) results for a 3-piece molecular cluster, C4H8BrFN3 overall.

The geometry in XYZ format:
```
17
Properties=species:S:1:pos:R:3:forces:R:3:mulliken_charge:R:1
C 0.892 -1.048 -1.838 1.25 -0.49 -1.84 -0.0020
C -0.429 -2.171 -0.490 0.99 0.34 0.45 -0.0128
C -2.047 1.672 1.137 1.44 1.44 -0.10 -0.5469
C -0.895 2.042 1.662 1.96 0.13 0.07 -0.4849
N 0.284 -2.242 -1.653 0.97 -0.37 -2.30 -0.1727
N -0.203 -0.997 -0.002 -0.88 1.38 1.68 -0.3799
N 0.565 -0.268 -0.868 -1.89 -3.87 0.77 0.3464
F 2.301 1.051 1.085 -0.94 -0.37 -0.56 -0.3784
Br 0.447 -3.593 -2.994 -0.26 0.70 1.08 0.1821
H 1.641 -0.753 -2.598 -0.89 -0.64 0.25 0.3954
H -0.881 -3.000 0.083 0.06 0.68 -0.82 0.3836
H -2.545 0.929 1.625 -1.50 -2.23 0.76 0.2947
H -2.491 2.161 0.308 -0.47 0.53 -0.46 0.2709
H 3.090 1.318 1.452 0.91 0.35 0.46 0.3752
H -0.333 2.935 1.269 -0.49 -1.07 0.48 0.2580
H -0.370 1.391 2.434 -0.91 1.25 -0.80 0.2130
H 0.973 0.572 -0.612 0.66 2.21 0.90 0.2582
```
Positions in Å, forces in eV/Å.

Calculated values
DFT total energy   -2995.00902 Ha
Net charge   +1
Highest occupied orbital energy   -0.4676 Eh
Energy above the lowest of the compared OMol25 structures with the same formula, charge and spin   0.0 kcal/mol
HOMO-LUMO gap   0.2785 hartree


Entry 2:
DFT (ωB97M-V with the def2-TZVPD basis set) results for C2H5N5O as an isolated structure.

The geometry in XYZ format:
```
13
Properties=species:S:1:pos:R:3:forces:R:3:mulliken_charge:R:1
C -0.330 -1.633 -0.053 -3.28 -0.75 -0.14 0.1592
C 1.508 -0.596 0.018 -0.52 -0.07 0.47 0.3778
H -2.439 0.706 -0.893 1.36 -1.16 2.46 0.2930
H -2.028 0.383 0.821 -1.28 1.93 2.47 0.2416
H -1.067 -2.439 0.184 0.55 0.85 -0.79 0.3571
H 1.848 1.714 -0.554 -2.42 -0.88 1.70 0.3060
H 0.459 2.376 0.821 2.33 -3.02 -4.29 0.2753
N -2.102 0.063 -0.080 2.16 -0.80 -3.39 -0.5801
N -0.710 -0.347 -0.240 -1.38 -0.25 -1.07 0.2236
N 0.909 -1.782 -0.014 2.04 -4.13 0.37 -0.5488
N 0.465 0.292 0.298 1.32 4.05 -0.83 0.1571
N 0.830 1.586 -0.164 -2.03 3.49 3.13 -0.6945
O 2.657 -0.323 -0.144 1.15 0.72 -0.09 -0.5671
```
Positions in Å, forces in eV/Å.

Calculated values
DFT total energy   -428.06445 Ha
Highest occupied orbital energy   -0.3360 Eh
Energy above the lowest of the compared OMol25 structures with the same formula, charge and spin   99.6 kcal/mol
HOMO-LUMO gap   0.3505 hartree


Entry 3:
DFT (ωB97M-V with the def2-TZVPD basis set) results for C17H30Br2Fe2O11 as an isolated structure.

The geometry in XYZ format:
```
62
Properties=species:S:1:pos:R:3:forces:R:3:lowdin_spin:R:1
Fe 6.031 8.514 -13.813 1.06 -1.36 -0.23 3.7356
Fe 5.938 5.416 -14.716 0.26 0.55 -0.58 3.7465
C 5.348 6.317 -12.317 6.82 2.33 -6.60 0.0229
~~~
Assignment
Search the data further above for the word "Ha" and give back each line that has it, please.
Written answer
DFT total energy   -2995.00902 Ha
DFT total energy   -428.06445 Ha